====== Archive eFLP 2011: Prolog assignment 2: Vector formula ====== Do you believe Prolog is only good for boring list manipulation and complicated recursion? Not any more! Your task is to create an artificial intelligence for the [[http://en.wikipedia.org/wiki/Racetrack_(game) | “Vector formula”]] game. Your car will go through the track as fast as possible, respecting physical limits of the traction. As a crash course into the basic principle of vector formula, spend a minute playing [[http://www.harmmade.com/vectorracer | Vector racer]] online. The game is played on a squared sheet of paper (a matrix in our case). There is only one car in the race (which is yours) and at the beginning, it is placed on a predefined position “checkpoint 0”. As the game is “real-time”, at each step your car’s position (x,y) moves according to the speed vector
(x, y) := (x, y) + (vx, vy)
The speed vector is the only thing you control. Initially, it is set to zero, but at each time step you can either increase or decrease one of its dimensions by 1. E.g. if your car is moving at the speed (-4,1), you can either decelerate to (-3,1) or (-4,0) or accelerate to (-5,1) or (-4,2). The race is finished as soon as you meet all checkpoints on the track. Specifically, there are several fields on the track numbered from 1 to //n//. Your trajectory must go through all of them. ===== Starting up ===== Firstly download the code {{.:racing.zip|racing.zip}} and have a look at the testing map called ''basic'':
The symbol “00” is the starting position, “11” is the first checkpoint and “22” is the last checkpoint. Cells “--” represent the track and “[]” is a wall (the car can not go through a wall). Start inspecting the given code by printing this map by executing the query: ''?- [basic,race]. ?- map(Map), plot(Map).'' By inspecting the source code, you will find that the map is a matrix (list of lists of equal length), that the track has the symbol ‘-’ in the Map matrix and the wall has the symbol ‘x’. The ultimate goal of this assignment is to produce the list of //waypoints//, which is a list of coordinates (= a list of 2 numbers [x,y]) of your car at each time step. Assuming that the top-left corner is [1,1], a valid set of waypoints for the ''basic'' map is
We further distinguish a //path//, which is a list of waypoints with all intermediate points between two waypoints. For the above mentioned list of waypoints, the path is
[[3,1],[4,1],[5,1],[6,1],[7,2],[7,3],[7,3],[6,3],[5,3],[4,3],[3,3],[2,3],[1,3]] .
You can print the waypoints by calling
===== Question 1: Low-level tools ===== Define a predicate similar to ''member'': ''nth(X,List,N)'' holds iff ''X'' is the ''N''-th member of ''List''. E.g. the query ''nth(X,[a,b],Y)'' must answer ''X=a,Y=1'' and then ''X=b,Y=2''. While searching, you will need to retrieve the position at specific coordinates in the map. Formally given a matrix, return the cell value at the specified coordinate. Define ''cell(Matrix,[X,Y],Value)'' s.t. cell([[a,b],[c,d]], [2,1], X) gives ''X=b''. It is highly recommended to use ''nth'' for the definition of ''cell''. **//2 points, one for each predicate.//** ===== Question 2: Find the path ===== In order to check for obstacles and checkpoints, one needs to compute the path from a set of waypoints by finding coordinates of a straight line between two arbitrary points in the map. Firstly define the Euclidean metric euclid([X1,Y1], [X2,Y2], D) to compute the distance between 2 points. As an example euclid([1,6],[4,2],D) should return D=sqrt((1-4)^2+(6-2)^2)=sqrt(25)=5. **//1 point//** Given two points [x1,y1] and [x2,y2], find all intermediate points on a line between these two. Use the the [[http://en.wikipedia.org/wiki/Beam_search | beam search]] strategy, which is a greedy (//beam width// = 1) heuristic search. Start by enumerating all points adjacent to [x1,y1]:
[Crystal structures that have nothing to do with the entry]
+++
Diffraction record for La4Sm5Y2. The X-ray powder pattern is computed, not measured: it uses a GGA-PBE-relaxed structure and copper Kα.
No peak broadening, texture or thermal motion is included.

Cell and atoms:
```
La4Sm5Y2
1.0
8.9955 -1.7987 0.0000
8.9955 1.7987 0.0000
-0.8768 0.0000 11.8402
La Sm Y
4 5 2
direct
0.0385 0.0385 0.2624 La
0.3596 0.3596 0.2040 La
0.6404 0.6404 0.7960 La
0.9615 0.9615 0.7376 La
0.0965 0.0965 0.5389 Sm
0.1788 0.1788 0.0726 Sm
0.5000 0.5000 0.0000 Sm
0.8212 0.8212 0.9274 Sm
0.9035 0.9035 0.4611 Sm
0.2838 0.2838 0.6400 Y
0.7162 0.7162 0.3600 Y
```

Top 12 peaks for 15 to 90 degrees two-theta, sorted by position:
two_theta	Rel. int.
26.5	24.5
29.3	25.6
29.7	19.2
30.3	100.0
31.1	56.6
31.3	57.4
32.2	37.3
33.3	31.2
36.3	16.6
53.6	19.8
+++
    Adj=[[x1+1,y1],  [x1-1,y1],  [x1,y1+1],  [x1,y1-1],
Then pick the closest point to [x2,y2] from the set Adj as the first intermediate point. Reapply the same procedure from the intermediate point until you reach [x2,y2]. Your predicate will give answers such as: * beam([1,1],[5,5],X) => X=[[2,2],[3,3],[4,4]] * beam([1,1],[5,3],X) => X=[[2,2],[3,3],[4,3]] Please note that the predicate should produce only one exact answer and is should not allow backtracking (this property is caused by the //beam width// being equal to 1). You may find the predicate sort(List,Sorted) very useful for finding the “closest” points. It works as follows: sort([[2,x],[3,y],[1,z]],X) gives X=[[1,z],[2,x],[3,y]]. **//3 points//** ===== Question 3: Finish the track ===== In this question, you will find a way through the whole track. Your task is to produce a list of waypoints. Firstly define the terminating condition. Write ''finished(Map,Way)'', which succeeds if ''Way'' is a valid list of waypoints for ''Map'': * **The car stays on the map:** All coordinates in the ''Way'' must be greater or equal to [1,1] and smaller or equal to the dimensions of the map. * **The physical limits of the traction are satisfied:** The second derivative of the ''Way'' is not greater than 1. E.g. the
Way = [[7,2],[7,3],[7,3],[6,3],[4,3],[1,3]]
has the first derivative (//velocity//) equal to
and the second derivative (//acceleration//) equal to
Since |[0,-1]| = 1 = |[-1,0]|, the condition is satisfied. **//1 point//** The predicate finished must then compute the //path// ''Path'' from //waypoints// ''Way'' using ''beam(,,)'' and check the constraints for ''Path'': * **The player does not leave the track:** The map matrix contains symbols ‘x’ (the track) and ‘-’ (the wall). The car must never find itself on ‘x’, but going through ‘-’ is OK. * **The car must go through all checkpoints 1..//n// in the correct order:** Formally the cells on ''Map'' below the coordinates of ''Path'' must contain numbers from 1 to //n// in the correct order. **//1 point//** Now the ultimate goal of the assignment is to find a list of waypoints from a given map. Implement ''way(Map,Way)'' which computes the waypoints on a given map. Use an algorithm of your choice, but be warned that given the complexity of the task, [[http://en.wikipedia.org/wiki/A*_search_algorithm | A*]] will be a good friend of yours. Those who dare can try a fancier algorithms such as [[http://en.wikipedia.org/wiki/Rapidly-exploring_random_tree | RRT]]. //**6 points + 2 for achieving at least 90% optimal solution on 80% of maps.**// //Note: The optimality is measured by the length of the plan.// ===== Evaluation ===== You can achieve the maximum of 12 points for questions of your choice. Since the sum of all questions reaches 16 points, you can earn the 12 on harder questions without loosing time on the easier ones. E.g. you can build the terminating condition into your search strategy without bothering with the finished(,) predicate. Still, if you are not too ambitious, you can start working out the easier exercises and tackle the harder ones at the end. ===== Submission ===== The code must be saved in the file race.pl. You are free to split the code into several external files, but make sure to load them from race.pl using :-[other_file]. It is advisable to supply -O -A128m -G128m -L128m parameters to SWI-Prolog in order to increase performance. Submit the file to [[http://cw.felk.cvut.cz/upload | cw.felk.cvut.cz/upload]] by the 19.5.2011 12:00 CEST the latest. The deadline is strict.